A long-lost sheep head may be the real world record.
In 2018, a new world-record bighorn sheep was announced. The large head was found in the fall of 2016 on Wild Horse Island, in Flathead Lake, Montana. Apparently it died of natural causes at approximately nine years old, which is not really old as far as bighorns go. The massive head got a lot of attention on the internet and at hunting shows this past winter, and reportedly weighed 50 pounds with a clean and dried complete upper skull. Few Asian argali sheep have horns that weigh more than this, albeit some Altai argali will surpass this mark. The Flathead ram is a remarkable testament to North America’s excellent game management.
The head scored a total of 217 2/8 gross B&C points (before deductions) and it beats by 7 6/8 inches a 14-year-old Alberta ram scoring 209 4/8, which was killed by a car. Typically world records of sheep and goats only surpass the last record by an inch or two, so an increase of 7-plus inches seems almost incredible. But as we shall see, this is not necessarily an isolated incident.
[Crystal structures, as found in the file]
- - -
Y2CoGe6: relaxed, PBE.

Output
For the uncorrected energy, the calculation gives -5.789 eV/atom.

Unit cell a=4.079 b=4.007 c=21.503 alpha=90.00 beta=90.00 gamma=90.00
Space group Amm2 (No. 38)
Inequivalent atoms, fractional coordinates:
Y (0.000, 0.000, 0.000) (multiplicity 2)
Y (0.000, 0.000, 0.337) (multiplicity 2)
Co (0.500, 0.000, 0.559) (multiplicity 2)
Ge (0.000, 0.000, 0.614) (multiplicity 2)
Ge (0.000, 0.000, 0.730) (multiplicity 2)
Ge (0.500, 0.000, 0.115) (multiplicity 2)
Ge (0.500, 0.000, 0.232) (multiplicity 2)
Ge (0.500, 0.000, 0.453) (multiplicity 2)
Ge (0.500, 0.000, 0.878) (multiplicity 2)
- - -
The Wild Horse Island ram net-scored 216 3/8 after deductions.
Is the Flathead ram really the biggest bighorn ever recorded? Possibly not. In the late1890s, a fur dealer form Tacoma, Washington, by the name of William F. Sheard publicized a ram that likely would surpass the Flathead ram by a significant amount. Sheard was a collector of trophies and he bought the head from a Canadian. Sheard said the head had been examined by a representative of Rowland Ward Ltd., and in 1899 the head was duly recorded in the third edition of Rowland Ward’s Records of Big Game. Sheard thought the head was killed in the Selkirks of British Columbia in 1885, but because he did not communicate with the man who shot the sheep, the location and date were likely not correct. At the time he offered the then-phenomenal amount of $500 to anybody who could present him with a head bigger than the Tacoma ram.
By 1900, several articles had been published in the sporting press with clear photos of the head, and it caused a sensation. Well-known British hunter William Baillie-Grohman devoted a significant section of his book Fifteen Years Sport and Life(London, 1900) to this sheep. Grohman spent years traveling the Canadian and American West in search of adventure and big game. He was very familiar with the habits, distribution and many of the top trophies of early American game animals and wrote a 403-page book about it, replete with maps and pictures. Grohman knew the actual hunter of the sheep, a man by the name of Scotty MacDougal. The ram was shot near Fort Steele in the Rockies, not in the Selkirks, in the winter of 1892-1893. Grohman learned this from MacDougal whom he had employed in years past. Apparently MacDougal was killed in an avalanche a few years after killing the ram and the ownership of the trophy passed to MacDougal’s partner, who sold it to Sheard. The head even took on its own name, as all great trophies seem to do: the Tacoma Head.

As often happens with any large trophy, claims and counter-claims were made about the Tacoma head by naysayers. In 1913 Sheard had a fire at his premises and it was thought the head was burned. But it turned out the head had previously been sold to a wealthy East Coast family, where it stayed until the 1950s when it disappeared in an estate sale when the heirs sold and moved. The head has not been seen since, but noted sheep biologist Dr. Raoul Valdez believes it to be authentic from studying the old photos, of which there were quite a few.
Materials data, kept here for reference:
-- begin --
Entry 1:
Entry from the Materials Project: KPrMo2O8 after structural relaxation (PBE with a Hubbard U).

Computed properties:
Total energy after the MP2020 corrections   -8.10 eV per atom
Density   4.73 g/cm3
Crystal system   monoclinic
M_tot   0.00 μB per formula unit
Formation energy from the elements   -2.507 eV/atom

```
24
Lattice="5.4957 -5.3553 0.0000 5.4957 5.3553 0.0000 -5.2951 0.0000 5.9627" Properties=species:S:1:pos:R:3 pbc="T T T"
K 1.5244 3.2088 4.4720
K 4.1720 -3.2088 1.4907
Pr 4.1720 2.8952 1.4907
Pr 1.5244 -2.8952 4.4720
Mo -0.6649 0.0237 4.5349
Mo 1.9826 -0.0238 1.5535
Mo 3.7138 0.0238 4.4091
Mo 6.3614 -0.0238 1.4278
O -2.2248 0.8128 4.1163
O 1.8250 1.6633 0.7893
O 0.4228 -0.8128 1.1349
O 0.4161 0.8144 3.3626
O 5.0958 1.1344 0.1442
O -0.8225 -1.6633 3.7707
O 3.0636 -0.8144 0.3813
O 3.2481 1.1344 2.8371
O 2.4483 -1.1344 3.1256
O 2.6328 0.8144 5.5814
O 6.5189 1.6633 2.1920
O 0.6006 -1.1344 5.8184
O 5.2803 -0.8144 2.6000
O 5.2736 0.8128 4.8277
O 3.8714 -1.6633 5.1733
O 7.9212 -0.8128 1.8464
```

Entry 2:
Entry from the Materials Project: K3Rb5Mo12O40 after structural relaxation (PBE with a Hubbard U).

Computed properties:
Total energy after the MP2020 corrections   -7.70 eV per atom
Density   3.68 g/cm3
Crystal system   triclinic
M_tot   0.00 μB per formula unit
Formation energy from the elements   -2.098 eV/atom

```
60
Lattice="8.4229 0.0000 0.0000 2.2676 10.9530 0.0000 1.5454 0.7192 11.4145" Properties=species:S:1:pos:R:3 pbc="T T T"
K 0.0000 0.0000 0.0000
K 4.0560 9.9345 4.8753
K 7.9066 4.8173 10.5826
Rb 1.6065 3.0895 6.8891
Rb 3.9950 7.5639 9.4011
Rb 6.1186 5.8332 5.7112
Rb 6.1789 8.2066 1.1817
Rb 6.3003 1.7272 3.6933
Mo 3.5570 3.7085 10.3311
Mo 2.4295 1.8415 2.6948
Mo 3.6972 4.8733 1.9725
Mo 6.4743 10.8956 8.6054
Mo 5.4768 2.9727 7.8897
Mo 4.3496 1.1087 0.2514
Mo 8.1314 8.8281 4.6229
Mo 8.5485 7.6785 8.4031
Mo 9.8182 10.7104 7.6845
Mo 8.7811 5.0595 2.8958
Mo 10.0498 8.0924 2.1806
Mo 10.4627 6.9457 5.9579
O 1.8951 5.4452 5.0589
O 0.8553 1.0728 2.7449
O 2.1592 6.1755 2.2466
O 1.8973 3.7585 2.6280
O 3.2010 8.8612 2.1303
O 3.7069 5.2077 11.2309
O 3.7458 7.1101 6.3374
O 2.2038 1.7257 0.3230
O 2.9406 1.7505 4.3557
O 4.2567 4.3182 8.5736
O 3.7804 1.7649 8.8448
O 5.6256 10.0515 9.8919
O 5.5595 10.5133 7.1846
O 4.6104 5.2554 3.3917
O 4.5488 5.7192 0.6894
O 4.1262 3.0512 1.7375
O 3.6499 0.4987 2.0091
O 4.9646 3.0619 6.2290
O 5.7027 3.0915 10.2595
O 6.4203 8.6699 4.2496
O 8.0126 11.2819 10.7662
O 6.9743 6.9108 8.4563
O 6.0099 1.0574 7.9544
O 8.0146 9.5953 8.3357
O 7.0512 3.7412 7.8399
O 8.2795 10.3258 5.5238
O 6.0602 1.2658 0.6255
O 8.3297 7.5694 6.0323
O 9.0593 7.5868 10.0637
O 8.8295 9.4358 2.8657
O 8.3524 6.8815 3.1383
O 7.9369 4.2090 4.1795
O 7.8642 4.6774 1.4766
O 10.7327 11.0930 9.1054
O 8.3990 0.6018 6.3978
O 10.2445 8.8892 7.4458
O 9.7668 6.3345 7.7168
O 9.5386 8.1837 0.5196
O 10.2755 8.2092 4.5505
O 10.2693 3.5514 9.9570
```

Entry 3:
-- stop --
So much for the materials data:
So how big is the Tacoma bighorn? Before World War II, sheep were not measured on a total score but were ranked on their longest horn while the bases were measured as supplemental data, so unfortunately there is no way to make an exact comparison with today’s scores. Only one side of the Tacoma head was recorded, but in the photos the horns appear very symmetrical, so let us assume that both horns were identical. Taking the original measurements listed in Rowland Ward, we know the head had a longest horn of 52½ inches with 18½ bases. Studying other giant bighorn sheep measurements, it might be reasonable to assume the quarter measurements would have been 16 ½, 15, and 11 inches for the first, second, and third quarters.
The Tacoma head is the only sheep in North America ever measured with a horn length of 50-plus inches, other than the Chadwick Stone sheep ram which was shot in 1936 in on the Muskwa River in British Columbia.
Questions have been raised about the Tacoma head’s bases recorded at 18.5 inches. In the old days, these were probably measured along the contours of the edge of the horns rather than in an even circle as is now the case. If so, this would knock the head from 18.5-inch bases to somewhere around 16 or 17 inches, which is more likely as no bighorn measured after World War II has been recorded with bases over 17.5 inches.
Until the Tacoma head resurfaces, it will be impossible to know what its exact score is. It is a great tragedy it has been lost in the mists of time, but we can rejoice in the fact that modern populations of bighorn sheep produce ever bigger heads, and someday a new record bighorn may approach the measurements of this legendary ram.